• Material:
Record 1
Structure and calculated powder diffractogram of ZrAsW2 (a crystal structure in Alexandria, relaxed with GGA-PBE; Cu Kα (λ = 1.5418 Å)).
Peak positions follow from Bragg's law for the DFT cell and can differ from measured ones.

Crystal structure
Cell: 3.251 3.251 6.728 Å, 90.00 90.00 90.00°
Positions (direct):
Zr (0.000, 0.000, 0.000)
As (0.500, 0.500, 0.291)
W (0.000, 0.000, 0.500)
W (0.500, 0.500, 0.716)

Main lines, by angle (2θ from 10° to 90°):
| 2θ (°) | I_rel |
| --- | --- |
| 13.16 | 39.2 |
| 30.54 | 8.1 |
| 38.51 | 100.0 |
| 39.19 | 52.4 |
| 41.52 | 10.1 |
| 49.37 | 13.7 |
| 56.63 | 18.0 |
| 69.22 | 13.3 |
| 70.58 | 33.7 |
| 82.54 | 8.3 |

---

Record 2
Structure and calculated powder diffractogram of Y4As (a crystal structure in Alexandria, relaxed with GGA-PBE; Cu Kα (λ = 1.5418 Å)).
Peak positions follow from Bragg's law for the DFT cell and can differ from measured ones.

Crystal structure
Cell: 5.498 5.498 5.498 Å, 90.00 90.00 90.00°
Positions (direct):
Y (0.000, 0.000, 0.000)
Y (0.000, 0.500, 0.500)
Y (0.500, 0.000, 0.500)
Y (0.500, 0.500, 0.000)
As (0.500, 0.500, 0.500)

Main lines, by angle (2θ from 10° to 90°):
| 2θ (°) | I_rel |
| --- | --- |
| 16.12 | 17.6 |
| 22.88 | 15.4 |
| 28.11 | 83.4 |
| 32.57 | 100.0 |
| 46.73 | 71.1 |
| 55.43 | 35.2 |
| 58.12 | 24.3 |
| 75.36 | 13.6 |
| 77.67 | 30.4 |
| 86.78 | 23.2 |

---

Record 3
Structure and calculated powder diffractogram of YAs (a crystal structure in Alexandria, relaxed with GGA-PBE; Cu Kα (λ = 1.5418 Å)).
Peak positions follow from Bragg's law for the DFT cell and can differ from measured ones.

Crystal structure
Cell: 4.123 4.123 4.123 Å, 60.00 60.00 60.00°
Positions (direct):
Y (0.000, 0.000, 0.000)
As (0.500, 0.500, 0.500)

Main lines, by angle (2θ from 10° to 90°):
| 2θ (°) | I_rel |
| --- | --- |
| 26.48 | 1.3 |
| 30.66 | 100.0 |
| 43.92 | 72.9 |
| 54.51 | 25.3 |
| 63.85 | 11.6 |
| 72.49 | 31.8 |
| 80.74 | 23.7 |

---

Record 4
Structure and calculated powder diffractogram of YAs2 (a crystal structure in Alexandria, relaxed with GGA-PBE; Cu Kα (λ = 1.5418 Å)).
Peak positions follow from Bragg's law for the DFT cell and can differ from measured ones.

Crystal structure
Cell: 11.177 11.177 11.177 Å, 160.21 160.21 28.13°
Positions (direct):
Y (0.375, 0.625, 0.750)
Y (0.625, 0.375, 0.250)
As (0.067, 0.817, 0.250)
As (0.183, 0.933, 0.250)
As (0.817, 0.067, 0.750)
As (0.933, 0.183, 0.750)

Main lines, by angle (2θ from 10° to 90°):
| 2θ (°) | I_rel |
| --- | --- |
| 16.35 | 44.7 |
| 31.11 | 24.1 |
| 34.03 | 100.0 |
| 37.29 | 42.9 |
| 44.39 | 32.9 |
| 47.34 | 27.4 |
| 52.16 | 12.8 |
| 61.75 | 19.0 |
| 66.90 | 18.8 |
| 79.39 | 16.5 |

---

Record 5
Structure and calculated powder diffractogram of YAs2 (a crystal structure in Alexandria, relaxed with GGA-PBE; Cu Kα (λ = 1.5418 Å)).
Peak positions follow from Bragg's law for the DFT cell and can differ from measured ones.

Crystal structure
Cell: 5.772 5.772 5.772 Å, 118.90 118.90 91.92°
Positions (direct):
Y (0.250, 0.250, 0.000)
Y (0.750, 0.750, 0.000)
As (0.156, 0.656, 0.812)
As (0.344, 0.156, 0.500)
As (0.656, 0.844, 0.500)
As (0.844, 0.344, 0.188)

Main lines, by angle (2θ from 10° to 90°):
| 2θ (°) | I_rel |
| --- | --- |
| 31.01 | 100.0 |
| 36.01 | 97.9 |
| 37.99 | 66.2 |
| 45.20 | 27.1 |
| 48.60 | 41.2 |
| 49.10 | 43.0 |
| 68.05 | 20.8 |
| 68.54 | 14.5 |
| 68.94 | 30.3 |
| 72.26 | 24.8 |

---

Record 6
Structure and calculated powder diffractogram of YAs (a crystal structure in Alexandria, relaxed with GGA-PBE; Cu Kα (λ = 1.5418 Å)).
Peak positions follow from Bragg's law for the DFT cell and can differ from measured ones.

Crystal structure
Cell: 3.616 3.616 3.778 Å, 90.00 90.00 105.66°
Positions (direct):
Y (0.000, 0.000, 0.000)
As (0.500, 0.500, 0.500)

Main lines, by angle (2θ from 10° to 90°):
| 2θ (°) | I_rel |
| --- | --- |
| 31.04 | 34.8 |
| 35.05 | 100.0 |
| 41.33 | 15.7 |
| 48.17 | 10.1 |
| 52.57 | 15.3 |
| 57.84 | 22.8 |
| 58.42 | 11.2 |
| 71.31 | 12.0 |
| 74.06 | 10.8 |
• Activity:
Your job: duplicate everything further up character by character.
• Response:
Record 1
Structure and calculated powder diffractogram of ZrAsW2 (a crystal structure in Alexandria, relaxed with GGA-PBE; Cu Kα (λ = 1.5418 Å)).
Peak positions follow from Bragg's law for the DFT cell and can differ from measured ones.

Crystal structure
Cell: 3.251 3.251 6.728 Å, 90.00 90.00 90.00°
Positions (direct):
Zr (0.000, 0.000, 0.000)
As (0.500, 0.500, 0.291)
W (0.000, 0.000, 0.500)
W (0.500, 0.500, 0.716)

Main lines, by angle (2θ from 10° to 90°):
| 2θ (°) | I_rel |
| --- | --- |
| 13.16 | 39.2 |
| 30.54 | 8.1 |
| 38.51 | 100.0 |
| 39.19 | 52.4 |
| 41.52 | 10.1 |
| 49.37 | 13.7 |
| 56.63 | 18.0 |
| 69.22 | 13.3 |
| 70.58 | 33.7 |
| 82.54 | 8.3 |

---

Record 2
Structure and calculated powder diffractogram of Y4As (a crystal structure in Alexandria, relaxed with GGA-PBE; Cu Kα (λ = 1.5418 Å)).
Peak positions follow from Bragg's law for the DFT cell and can differ from measured ones.

Crystal structure
Cell: 5.498 5.498 5.498 Å, 90.00 90.00 90.00°
Positions (direct):
Y (0.000, 0.000, 0.000)
Y (0.000, 0.500, 0.500)
Y (0.500, 0.000, 0.500)
Y (0.500, 0.500, 0.000)
As (0.500, 0.500, 0.500)

Main lines, by angle (2θ from 10° to 90°):
| 2θ (°) | I_rel |
| --- | --- |
| 16.12 | 17.6 |
| 22.88 | 15.4 |
| 28.11 | 83.4 |
| 32.57 | 100.0 |
| 46.73 | 71.1 |
| 55.43 | 35.2 |
| 58.12 | 24.3 |
| 75.36 | 13.6 |
| 77.67 | 30.4 |
| 86.78 | 23.2 |

---

Record 3
Structure and calculated powder diffractogram of YAs (a crystal structure in Alexandria, relaxed with GGA-PBE; Cu Kα (λ = 1.5418 Å)).
Peak positions follow from Bragg's law for the DFT cell and can differ from measured ones.

Crystal structure
Cell: 4.123 4.123 4.123 Å, 60.00 60.00 60.00°
Positions (direct):
Y (0.000, 0.000, 0.000)
As (0.500, 0.500, 0.500)

Main lines, by angle (2θ from 10° to 90°):
| 2θ (°) | I_rel |
| --- | --- |
| 26.48 | 1.3 |
| 30.66 | 100.0 |
| 43.92 | 72.9 |
| 54.51 | 25.3 |
| 63.85 | 11.6 |
| 72.49 | 31.8 |
| 80.74 | 23.7 |

---

Record 4
Structure and calculated powder diffractogram of YAs2 (a crystal structure in Alexandria, relaxed with GGA-PBE; Cu Kα (λ = 1.5418 Å)).
Peak positions follow from Bragg's law for the DFT cell and can differ from measured ones.

Crystal structure
Cell: 11.177 11.177 11.177 Å, 160.21 160.21 28.13°
Positions (direct):
Y (0.375, 0.625, 0.750)
Y (0.625, 0.375, 0.250)
As (0.067, 0.817, 0.250)
As (0.183, 0.933, 0.250)
As (0.817, 0.067, 0.750)
As (0.933, 0.183, 0.750)

Main lines, by angle (2θ from 10° to 90°):
| 2θ (°) | I_rel |
| --- | --- |
| 16.35 | 44.7 |
| 31.11 | 24.1 |
| 34.03 | 100.0 |
| 37.29 | 42.9 |
| 44.39 | 32.9 |
| 47.34 | 27.4 |
| 52.16 | 12.8 |
| 61.75 | 19.0 |
| 66.90 | 18.8 |
| 79.39 | 16.5 |

---

Record 5
Structure and calculated powder diffractogram of YAs2 (a crystal structure in Alexandria, relaxed with GGA-PBE; Cu Kα (λ = 1.5418 Å)).
Peak positions follow from Bragg's law for the DFT cell and can differ from measured ones.

Crystal structure
Cell: 5.772 5.772 5.772 Å, 118.90 118.90 91.92°
Positions (direct):
Y (0.250, 0.250, 0.000)
Y (0.750, 0.750, 0.000)
As (0.156, 0.656, 0.812)
As (0.344, 0.156, 0.500)
As (0.656, 0.844, 0.500)
As (0.844, 0.344, 0.188)

Main lines, by angle (2θ from 10° to 90°):
| 2θ (°) | I_rel |
| --- | --- |
| 31.01 | 100.0 |
| 36.01 | 97.9 |
| 37.99 | 66.2 |
| 45.20 | 27.1 |
| 48.60 | 41.2 |
| 49.10 | 43.0 |
| 68.05 | 20.8 |
| 68.54 | 14.5 |
| 68.94 | 30.3 |
| 72.26 | 24.8 |

---

Record 6
Structure and calculated powder diffractogram of YAs (a crystal structure in Alexandria, relaxed with GGA-PBE; Cu Kα (λ = 1.5418 Å)).
Peak positions follow from Bragg's law for the DFT cell and can differ from measured ones.

Crystal structure
Cell: 3.616 3.616 3.778 Å, 90.00 90.00 105.66°
Positions (direct):
Y (0.000, 0.000, 0.000)
As (0.500, 0.500, 0.500)

Main lines, by angle (2θ from 10° to 90°):
| 2θ (°) | I_rel |
| --- | --- |
| 31.04 | 34.8 |
| 35.05 | 100.0 |
| 41.33 | 15.7 |
| 48.17 | 10.1 |
| 52.57 | 15.3 |
| 57.84 | 22.8 |
| 58.42 | 11.2 |
| 71.31 | 12.0 |
| 74.06 | 10.8 |